Објавено во United States of America - Политички дебати и анализи - 03 Jul 2016 15:52 - 15

Hello fellow eAmericans,
First of all, I'd to bid some apologies to the american citizens, mostly due to the fact I was delayed to the debate yesterday and I was terribly tired due to an entire day of work.
Now, moving into the next topic, I would also like to thank the Enlightened Contract Party for their endorsement for my Presidential bid. While we all in our intimate thoughts have a candidate in our mind to vote, I believe that every citizen is important regardless of their political affiliation and everyone plays an important role in our community. It is with this in mind that I wish to continue to improve our country for the coming term by fulfilling the goals I have outlined in my platform.
As such, I have chosen a team to help me accomplish those goals. I wouldn't call it a "dream team" but rather a company of heroes. Heroes that will help me chase a better reality for our country. The task ahead for the coming term will be herculean and I certainly will require all old veterans and new blood alike to work together for this great accomplishments.
America, I introduce you my Company of Heroes!

Monkus is the man of the moment and is responsible for the current turn around of our economy. He has proved to be a rather smart and intelligent man who has guided both our economy and our foreign policy in the most recent past. His activity and fresh ideas have brought many benefits for our nation and his reforms will remain in the history of our nation for the many times to come. I believe he will continue his invaluable contribute as my Vice President!

Thomas Killah

Thomas Killah has a history in this type of games and is one of our oldest veterans. He was keen to inform me he won't be able to fulfill completely the role of Secretary of State for the coming month due a more busy real life, however he can fit the role of Chief of Staff as one of our veterans. It is important to refer that this role will be mostly advisory which makes an ideal fit for Thomas. I also have to say that this man has guided our foreign policy in the past and has all due experience to bring valuable contribute to our country and my administration.

Secretary of State

Arith is another of our old veterans, as a former President he has the necessary experience to fit this role. He will be coordinating efforts with MDP and will be revitilizing the Ambadorial program. I have complete faith in his experience and his contribute to our nation. He will not be doing this alone, he will be isted by his Deputy Secretary of State Tricky Dick!

Secretary of Defense

EddieA was a member of the first cabinet in our country. He is one of our old veterans and he has been helping to revive the Department of Defense this month. It is with great pleasure that I announce that he will be continuing his duties for the coming month should I be elected. EddieA will be isted by his Deputy Secretary of Defense Fayth!

Secretary of Citizen Affairs

Hunburry has recently returned from his time out and he has been helping the Department of Citizen affairs improve by adding games, a dedicated server and some other tools. His Department for the coming month will be one we will be addressing the most and therefore someone with the required experience will be necessary. I believe Hunburry will do whatever is necessary to make sure the DoCA will succeed and he will not be doing it alone, he will be isted by Deputy Secretary of Citizen Affairs NickerMCFoxtails77!

Secretary of Technology

Tanishq has been helping on several websites and tools for our country. She was responsible for the new landing page as well as collecting the necessary information for it's inception. Her skills have been invaluable as Secretary of Technology and it is with great pleasure that I announce she will be keeping this role for the coming term in addition to the fact that she is the First Lady. She will be isted by Deputy Secretary of Technology The Mad Catter!

Secretary of Media

Orwell has been working on our White House Public releases since he took over as Secretary of Media. He has a unique writting style and a very independent view regarding everything that relates to the government and to politics in general. As a rising star, I am pleased to inform he will continue his duties as Secretary of Media for the coming term. He will be isted by Deputy Secretary of Media Trumpets!

National Security Council Director

Community Liaison
Tricky Dick

In addition to his functions as Deputy Secretary of State, Trick Dick will be also taking the role of Community Liaison. He will be working with all political parties to settle disputies and to listen to the community. I am confident that his fresh views as well as some of his approach to the community will bring us all many steps forward to a more united american society.

If you are interested in serving my cabinet, there are a couple deputy positions still open! Don t be shy, feel free to message me with the Department you re interested in and how you can contribute! My inbox is also open for any suggestion you d like and you can even meet me at my own Campaign HQ here: https://discord.gg/NGMZmvZ
If you have questions about the game, I will also give the istance I can in the best of my ability.
Thank you all for your support and kind regards,

no0bsailbotКоментари (15)

First denied for the Heroes! 



where is my first, abe ?

Sorry koment, as you can see from the article there is already a First Lady. You should probably ask my opponent SpitfireYG, maybe he ll take you as First Lady 

-_- No thanks

Monkus o7

Seriously Abe? She is komeng, not koment.

_Misplaced data records_
<<<
{
  "formula": "C29H32IrN6",
  "method": "ωB97M-V with the def2-TZVPD basis set",
  "elements": ["Ir", "C", "C", "C", "C", "C", "C", "C", "N", "N", "C", "C", "C", "C", "C", "C", "N", "C", "C", "C", "C", "C", "C", "N", "H", "H", "H", "H", "H", "H", "H", "H", "H", "H", "H", "H", "H", "H", "H", "H", "H", "H", "H", "H", "C", "C", "C", "C", "C", "C", "C", "C", "N", "H", "H", "H", "H", "H", "H", "H", "H", "H", "C", "C", "N", "H", "H", "H"],
  "coordinates": [[0.249, -0.021, -0.357], [1.172, -2.383, 1.380], [1.098, -3.319, 0.187], [-0.040, -3.091, -0.769], [-0.887, -4.132, -1.108], [-1.841, -3.956, -2.097], [-1.895, -2.743, -2.762], [-1.033, -1.743, -2.366], [-0.145, -1.887, -1.370], [1.696, -1.042, 1.028], [1.706, -0.196, 2.249], [2.054, 1.239, 1.933], [2.558, 2.107, 2.890], [2.858, 3.404, 2.505], [2.656, 3.788, 1.186], [2.135, 2.862, 0.301], [1.842, 1.617, 0.677], [3.077, -1.104, 0.474], [3.153, -0.843, -1.001], [4.300, -1.146, -1.721], [4.348, -0.830, -3.067], [3.243, -0.232, -3.660], [2.135, 0.023, -2.880], [2.095, -0.269, -1.574], [1.817, -2.825, 2.148], [0.183, -2.243, 1.815], [1.036, -4.342, 0.557], [2.027, -3.269, -0.389], [-0.776, -5.086, -0.612], [-2.511, -4.763, -2.361], [-2.587, -2.569, -3.572], [-1.039, -0.782, -2.856], [2.431, -0.600, 2.963], [0.716, -0.261, 2.707], [2.709, 1.776, 3.908], [3.253, 4.108, 3.225], [2.903, 4.783, 0.847], [1.937, 3.114, -0.733], [3.534, -2.069, 0.710], [3.686, -0.350, 0.975], [5.139, -1.620, -1.230], [5.233, -1.048, -3.649], [3.236, 0.029, -4.707], [1.247, 0.484, -3.294], [-2.830, 1.188, -2.081], [-2.948, 1.984, -0.821], [-4.062, 2.786, -0.614], [-4.221, 3.508, 0.557], [-3.258, 3.452, 1.557], [-2.123, 2.682, 1.389], [-1.060, 2.618, 2.445], [-1.977, 1.944, 0.191], [-0.834, 1.194, 0.069], [-3.356, 1.684, -2.895], [-3.272, 0.196, -1.953], [-1.788, 1.054, -2.368], [-4.815, 2.850, -1.389], [-5.098, 4.126, 0.691], [-3.389, 4.021, 2.468], [-1.280, 3.304, 3.260], [-0.086, 2.878, 2.031], [-0.982, 1.610, 2.860], [-4.345, -2.094, 1.453], [-2.997, -1.653, 1.139], [-1.936, -1.294, 0.881], [-4.979, -1.226, 1.624], [-4.332, -2.712, 2.349], [-4.741, -2.675, 0.622]],
  "lowdin_charge": [1.4859, -0.1733, -0.0901, -0.2645, 0.0100, -0.0075, -0.0191, -0.1307, -0.0617, -0.2575, -0.1150, -0.3007, 0.0054, -0.0183, -0.0234, -0.1009, 0.0154, -0.0993, -0.2563, 0.0146, -0.0086, -0.0173, -0.1034, -0.0535, 0.1410, 0.1028, 0.1332, 0.1256, 0.1293, 0.1285, 0.1249, 0.0857, 0.1472, 0.1283, 0.1311, 0.1259, 0.1209, 0.1232, 0.1434, 0.1418, 0.1330, 0.1286, 0.1234, 0.1145, -0.0415, -0.2037, -0.0260, -0.0326, -0.0222, -0.1970, -0.0207, -0.2680, -0.1737, 0.0943, 0.0855, 0.0366, 0.1235, 0.1197, 0.1224, 0.0934, 0.0586, 0.0837, -0.0282, -0.1977, 0.1429, 0.0973, 0.0976, 0.0933],
  "spin_multiplicity": 2,
  "e_lumo_ev": [-6.099, -6.693],
  "e_homo_ev": [-13.4, -13.3],
  "s_squared": 0.76,
  "orbital_gap_ev": [7.257, 6.631],
  "relative_energy_kcal_mol": 43.12,
  "total_charge": 2,
  "fmax_ev_per_a": 3.05
}



{
  "formula": "C29H32NO2S",
>>>

CoH? ok. i will follow the next news

Eddie, I was on phone which has autocorrect xD it happens.

(´・_・`). Abe made a girl cry 😦